┌──
This entry pairs a crystal structure of DySiAg with its computed powder XRD pattern. Radiation: Cu Kα, 1.54184 Å. Structure: a crystal structure in the Materials Project, relaxed with GGA-PBE.
Kinematic intensities with the Lorentz-polarization factor, no thermal factor.

```
data_DySiAg
_space_group_name_H-M_alt 'P -6 2 m'
_space_group_IT_number 189
_space_group_name_Hall 'P -6 -2'
_cell_length_a 7.0549
_cell_length_b 7.0549
_cell_length_c 4.1969
_cell_angle_alpha 90.00
_cell_angle_beta 90.00
_cell_angle_gamma 120.00
loop_
_atom_site_label
_atom_site_fract_x
_atom_site_fract_y
_atom_site_fract_z
Dy1 0.0000 0.4192 0.0000
Si1 0.0000 0.0000 0.0000
Si2 0.3333 0.6667 0.5000
Ag1 0.0000 0.7502 0.5000
```

Peak list (10 most intense, 15° ≤ 2θ ≤ 90°, in order of rising 2θ)
Position (°2θ), I/Imax
25.25, 19
25.75, 21
33.18, 100
36.38, 69
39.00, 52
43.11, 23
54.12, 14
58.76, 31
59.52, 29
70.88, 17

This entry pairs a crystal structure of MgTe4MoW3Se2S2 with its computed powder XRD pattern. Radiation: Cu Kα, 1.54184 Å. Structure: a crystal structure in the Materials Project, relaxed with GGA-PBE.
Kinematic intensities with the Lorentz-polarization factor, no thermal factor.

```
data_MgTe4MoW3Se2S2
_space_group_name_H-M_alt 'C 1 m 1'
_space_group_IT_number 8
_space_group_name_Hall 'C -2y'
_cell_length_a 5.909
_cell_length_b 3.412
_cell_length_c 43.010
_cell_angle_alpha 90.00
_cell_angle_beta 90.21
_cell_angle_gamma 90.00
loop_
_atom_site_label
_atom_site_fract_x
_atom_site_fract_y
_atom_site_fract_z
Mg1 0.000 0.000 0.000
Te1 0.001 0.000 0.227
Te2 0.004 0.000 0.315
Te3 0.168 0.500 0.664
Te4 0.171 0.500 0.751
Mo1 0.002 0.000 0.088
W1 0.003 0.000 0.707
W2 0.169 0.500 0.271
W3 0.170 0.500 0.891
Se1 0.002 0.000 0.853
Se2 0.004 0.000 0.930
S1 0.168 0.500 0.053
S2 0.168 0.500 0.123
```

Peak list (10 most intense, 15° ≤ 2θ ≤ 90°, in order of rising 2θ)
Position (°2θ), I/Imax
30.26, 66
30.54, 19
32.03, 30
34.63, 100
34.70, 18
36.89, 45
40.90, 58
41.00, 56
53.74, 49
54.87, 23

This entry pairs a crystal structure of Ba2La3Ti2Nb2O15 with its computed powder XRD pattern. Radiation: Cu Kα, 1.54184 Å. Structure: a crystal structure in the Materials Project, relaxed with GGA-PBE.
Kinematic intensities with the Lorentz-polarization factor, no thermal factor.

```
data_Ba2La3Ti2Nb2O15
_space_group_name_H-M_alt 'P -3 c 1'
_space_group_IT_number 165
_space_group_name_Hall '-P 3 2"c'
_cell_length_a 5.7224
_cell_length_b 5.7224
_cell_length_c 23.3806
_cell_angle_alpha 90.00
_cell_angle_beta 90.00
_cell_angle_gamma 120.00
loop_
_atom_site_label
_atom_site_fract_x
_atom_site_fract_y
_atom_site_fract_z
Ba1 0.3333 0.6667 0.0368
La1 0.0000 0.0000 0.2500
La2 0.3333 0.6667 0.3560
Ti1 0.3333 0.6667 0.2036
Nb1 0.0000 0.0000 0.0988
O1 0.0000 0.4410 0.2500
O2 0.1019 0.3264 0.6581
O3 0.1359 0.3405 0.4390
└──

Please work out how many lines earlier on have the word "Position" in them; a number is enough.

2